**Wanted:**
Now give back the lines below up to the one that holds "0.836 0.613", that line included.

**Excerpt:**
____________
A plane-wave DFT calculation with PBE-GGA was carried out for crystalline BiBr3 at its relaxed geometry.

Cell: 7.2907 10.2443 8.2683 Å, 90.00 108.22 90.00°
Last column: nearest neighbours and their distance in Å.
Space group P2_1/c (No. 14)
One atom of each set of equivalent atoms:
1 Bi 0.0293 0.1841 0.1649 [4 per cell]  3 Br 2.73-2.78
2 Br 0.2034 0.5593 0.6889 [4 per cell]  1 Bi 2.78
3 Br 0.2125 0.5920 0.1681 [4 per cell]  1 Bi 2.73
4 Br 0.3165 0.2492 0.9611 [4 per cell]  1 Bi 2.76


A plane-wave DFT calculation with PBE-GGA was carried out for crystalline ErSbPt at its relaxed geometry.

Cell: 6.5814 6.5814 6.5814 Å, 90.00 90.00 90.00°
Last column: nearest neighbours and their distance in Å.
Space group F-43m (No. 216)
One atom of each set of equivalent atoms:
1 Er 0.0000 0.0000 0.0000 [4 per cell]  4 Pt 2.85
2 Sb 0.0000 0.0000 0.5000 [4 per cell]  4 Pt 2.85
3 Pt 0.2500 0.2500 0.2500 [4 per cell]  4 Sb 2.85, 4 Er 2.85

Values from the calculation:
Largest piezoelectric modulus (C/m²): 0.35


The records above yield energy of formation from the pure elements values of -1.111, -1.216 eV/atom, respectively.

----------

# 1
# P4S9

A relaxed P4S9 crystal (r²SCAN, the Materials Project).

Cell: 8.826 12.780 13.032 Å, 90.00 90.00 104.79°
Fractional coordinates of all 52 atoms:
S 0.811 0.501 0.124
S 0.327 0.328 0.720
S 0.162 0.467 0.173
S 0.338 0.033 0.673
S 0.827 0.828 0.780
S 0.037 0.634 0.321
P 0.892 0.972 0.692
S 0.592 0.268 0.496
P 0.164 0.339 0.607
P 0.108 0.028 0.308
S 0.897 0.791 0.472
S 0.486 0.600 0.705
P 0.664 0.839 0.893
P 0.678 0.386 0.406
S 0.662 0.967 0.327
P 0.392 0.472 0.808
S 0.397 0.291 0.028
S 0.311 0.001 0.376
S 0.879 0.360 0.334
P 0.476 0.990 0.265
S 0.463 0.866 0.821
S 0.259 0.470 0.509
P 0.322 0.614 0.594
S 0.963 0.366 0.679
S 0.189 0.499 0.876
P 0.822 0.114 0.906
S 0.514 0.400 0.295
S 0.689 0.999 0.624
S 0.379 0.860 0.166
S 0.121 0.640 0.666
S 0.092 0.768 0.004
S 0.014 0.900 0.205
S 0.621 0.140 0.834
S 0.838 0.533 0.827
S 0.603 0.709 0.972
P 0.608 0.528 0.192
S 0.241 0.030 0.009
P 0.976 0.490 0.235
P 0.336 0.161 0.107
S 0.759 0.970 0.991
S 0.741 0.530 0.491
S 0.986 0.100 0.795
P 0.024 0.510 0.765
S 0.908 0.232 0.996
S 0.673 0.672 0.280
S 0.408 0.732 0.504
S 0.173 0.172 0.220
P 0.524 0.010 0.735
S 0.537 0.134 0.179
P 0.836 0.661 0.393
S 0.103 0.209 0.528
P 0.178 0.886 0.094

* mass density: 1.928 g/cm3
* DFT total energy: -8.55 eV/atom
* formation enthalpy at 0 K: -219 meV per atom
* SG: P2_1/c

***

# 2
# Np2InRh2

A relaxed Np2InRh2 crystal (r²SCAN, the Materials Project).

Cell: 7.611 7.611 3.651 Å, 90.00 90.00 90.00°
Fractional coordinates of all 10 atoms:
Rh 0.365 0.865 0.000
Np 0.169 0.669 0.500
In 0.000 0.000 0.000
Np 0.669 0.831 0.500
Np 0.331 0.169 0.500
Np 0.831 0.331 0.500
In 0.500 0.500 0.000
Rh 0.865 0.635 0.000
Rh 0.135 0.365 0.000
Rh 0.635 0.135 0.000

* mass density: 12.481 g/cm3
* DFT total energy: -48.04 eV/atom
* formation enthalpy at 0 K: -655 meV per atom
* SG: P4/mbm

***

# 3
# La5Ge3

A relaxed La5Ge3 crystal (r²SCAN, the Materials Project).

Cell: 6.963 9.016 9.016 Å, 120.00 90.00 90.00°
Fractional coordinates of all 16 atoms:
La 0.500 0.333 0.667
La 0.000 0.667 0.333
La 0.250 0.249 0.249
La 0.250 0.000 0.751
La 0.500 0.667 0.333
Ge 0.750 0.608 0.000
La 0.750 0.249 0.000
La 0.250 0.751 0.000
Ge 0.250 0.608 0.608
La 0.750 0.751 0.751
Ge 0.750 0.392 0.392
La 0.750 0.000 0.249
Ge 0.750 0.000 0.608
Ge 0.250 0.392 0.000
Ge 0.250 0.000 0.392
La 0.000 0.333 0.667

* mass density: 6.181 g/cm3
* DFT total energy: -24.61 eV/atom
* formation enthalpy at 0 K: -821 meV per atom
* SG: P6_3/mcm

***

# 4
# Sc7CoBr12

A relaxed Sc7CoBr12 crystal (r²SCAN, the Materials Project).

Cell: 8.653 8.653 8.653 Å, 106.96 106.96 106.96°
Fractional coordinates of all 20 atoms:
Co 0.000 0.000 0.000
Br 0.929 0.321 0.777
Sc 0.023 0.299 0.095
Br 0.613 0.539 0.836
Br 0.164 0.387 0.461
Br 0.071 0.679 0.223
Br 0.777 0.929 0.321
Br 0.461 0.164 0.387
Br 0.836 0.613 0.539
Br 0.679 0.223 0.071
Sc 0.500 0.500 0.500
____________

**Outcome:**
A plane-wave DFT calculation with PBE-GGA was carried out for crystalline BiBr3 at its relaxed geometry.

Cell: 7.2907 10.2443 8.2683 Å, 90.00 108.22 90.00°
Last column: nearest neighbours and their distance in Å.
Space group P2_1/c (No. 14)
One atom of each set of equivalent atoms:
1 Bi 0.0293 0.1841 0.1649 [4 per cell]  3 Br 2.73-2.78
2 Br 0.2034 0.5593 0.6889 [4 per cell]  1 Bi 2.78
3 Br 0.2125 0.5920 0.1681 [4 per cell]  1 Bi 2.73
4 Br 0.3165 0.2492 0.9611 [4 per cell]  1 Bi 2.76


A plane-wave DFT calculation with PBE-GGA was carried out for crystalline ErSbPt at its relaxed geometry.

Cell: 6.5814 6.5814 6.5814 Å, 90.00 90.00 90.00°
Last column: nearest neighbours and their distance in Å.
Space group F-43m (No. 216)
One atom of each set of equivalent atoms:
1 Er 0.0000 0.0000 0.0000 [4 per cell]  4 Pt 2.85
2 Sb 0.0000 0.0000 0.5000 [4 per cell]  4 Pt 2.85
3 Pt 0.2500 0.2500 0.2500 [4 per cell]  4 Sb 2.85, 4 Er 2.85

Values from the calculation:
Largest piezoelectric modulus (C/m²): 0.35


The records above yield energy of formation from the pure elements values of -1.111, -1.216 eV/atom, respectively.

----------

# 1
# P4S9

A relaxed P4S9 crystal (r²SCAN, the Materials Project).

Cell: 8.826 12.780 13.032 Å, 90.00 90.00 104.79°
Fractional coordinates of all 52 atoms:
S 0.811 0.501 0.124
S 0.327 0.328 0.720
S 0.162 0.467 0.173
S 0.338 0.033 0.673
S 0.827 0.828 0.780
S 0.037 0.634 0.321
P 0.892 0.972 0.692
S 0.592 0.268 0.496
P 0.164 0.339 0.607
P 0.108 0.028 0.308
S 0.897 0.791 0.472
S 0.486 0.600 0.705
P 0.664 0.839 0.893
P 0.678 0.386 0.406
S 0.662 0.967 0.327
P 0.392 0.472 0.808
S 0.397 0.291 0.028
S 0.311 0.001 0.376
S 0.879 0.360 0.334
P 0.476 0.990 0.265
S 0.463 0.866 0.821
S 0.259 0.470 0.509
P 0.322 0.614 0.594
S 0.963 0.366 0.679
S 0.189 0.499 0.876
P 0.822 0.114 0.906
S 0.514 0.400 0.295
S 0.689 0.999 0.624
S 0.379 0.860 0.166
S 0.121 0.640 0.666
S 0.092 0.768 0.004
S 0.014 0.900 0.205
S 0.621 0.140 0.834
S 0.838 0.533 0.827
S 0.603 0.709 0.972
P 0.608 0.528 0.192
S 0.241 0.030 0.009
P 0.976 0.490 0.235
P 0.336 0.161 0.107
S 0.759 0.970 0.991
S 0.741 0.530 0.491
S 0.986 0.100 0.795
P 0.024 0.510 0.765
S 0.908 0.232 0.996
S 0.673 0.672 0.280
S 0.408 0.732 0.504
S 0.173 0.172 0.220
P 0.524 0.010 0.735
S 0.537 0.134 0.179
P 0.836 0.661 0.393
S 0.103 0.209 0.528
P 0.178 0.886 0.094

* mass density: 1.928 g/cm3
* DFT total energy: -8.55 eV/atom
* formation enthalpy at 0 K: -219 meV per atom
* SG: P2_1/c

***

# 2
# Np2InRh2

A relaxed Np2InRh2 crystal (r²SCAN, the Materials Project).

Cell: 7.611 7.611 3.651 Å, 90.00 90.00 90.00°
Fractional coordinates of all 10 atoms:
Rh 0.365 0.865 0.000
Np 0.169 0.669 0.500
In 0.000 0.000 0.000
Np 0.669 0.831 0.500
Np 0.331 0.169 0.500
Np 0.831 0.331 0.500
In 0.500 0.500 0.000
Rh 0.865 0.635 0.000
Rh 0.135 0.365 0.000
Rh 0.635 0.135 0.000

* mass density: 12.481 g/cm3
* DFT total energy: -48.04 eV/atom
* formation enthalpy at 0 K: -655 meV per atom
* SG: P4/mbm

***

# 3
# La5Ge3

A relaxed La5Ge3 crystal (r²SCAN, the Materials Project).

Cell: 6.963 9.016 9.016 Å, 120.00 90.00 90.00°
Fractional coordinates of all 16 atoms:
La 0.500 0.333 0.667
La 0.000 0.667 0.333
La 0.250 0.249 0.249
La 0.250 0.000 0.751
La 0.500 0.667 0.333
Ge 0.750 0.608 0.000
La 0.750 0.249 0.000
La 0.250 0.751 0.000
Ge 0.250 0.608 0.608
La 0.750 0.751 0.751
Ge 0.750 0.392 0.392
La 0.750 0.000 0.249
Ge 0.750 0.000 0.608
Ge 0.250 0.392 0.000
Ge 0.250 0.000 0.392
La 0.000 0.333 0.667

* mass density: 6.181 g/cm3
* DFT total energy: -24.61 eV/atom
* formation enthalpy at 0 K: -821 meV per atom
* SG: P6_3/mcm

***

# 4
# Sc7CoBr12

A relaxed Sc7CoBr12 crystal (r²SCAN, the Materials Project).

Cell: 8.653 8.653 8.653 Å, 106.96 106.96 106.96°
Fractional coordinates of all 20 atoms:
Co 0.000 0.000 0.000
Br 0.929 0.321 0.777
Sc 0.023 0.299 0.095
Br 0.613 0.539 0.836
Br 0.164 0.387 0.461
Br 0.071 0.679 0.223
Br 0.777 0.929 0.321
Br 0.461 0.164 0.387
Br 0.836 0.613 0.539